_Work order_
Could you print the part of the lines further down that starts with the line with "0.50" and stops after the one with "-1.1357"?

_Material_
____________
1.
ORCA calculation (the ωB97M-V functional and the def2-TZVPD basis) on a molecular structure, C59H71N4OP3S2Si2TeV.

Calculated values
HOMO energy (alpha / beta): -9.09 / -9.09 eV
net charge: +1
E_LUMO (alpha / beta): -3.09 / -3.09 eV

Each line ends with the Mulliken charge.
Element x y z (Å)
1 V -0.7029 0.2918 -0.7313  -1.61
2 S -2.0756 -1.5565 -0.6086  0.69
3 P -3.3195 -0.1605 0.1570  1.67
4 C -2.4627 1.3584 0.0747  -1.82
5 P -1.6236 1.4679 1.6135  1.64
6 S -0.2619 0.0367 1.8307  -0.72
7 C -2.7749 1.4779 3.0221  1.53
8 C -2.4455 0.8423 4.2097  -0.64
9 C -3.3343 0.8755 5.2684  -0.77
10 C -4.5423 1.5376 5.1398  -0.60
11 C -4.8745 2.1634 3.9481  -0.94
12 C -3.9896 2.1375 2.8866  -0.01
13 C -0.8376 3.0913 1.8596  0.74
14 C 0.4274 3.1625 2.4253  -0.36
15 C 0.9691 4.3911 2.7561  -0.79
16 C 0.2366 5.5464 2.5374  -0.66
17 C -1.0221 5.4786 1.9611  -0.89
18 C -1.5635 4.2527 1.6232  -0.26
19 C -4.7115 -0.0787 -0.9945  0.03
20 C -4.7574 0.9466 -1.9288  -0.35
21 C -5.8015 0.9983 -2.8346  -0.76
22 C -6.7980 0.0351 -2.7985  -0.74
23 C -6.7270 -1.0086 -1.8891  -0.85
24 C -5.6786 -1.0773 -0.9921  -0.15
25 C -4.0441 -0.8849 1.6601  0.54
26 C -5.3058 -0.4666 2.0680  -0.06
27 C -5.8694 -1.0073 3.2064  -0.96
28 C -5.1784 -1.9631 3.9360  -0.92
29 C -3.9152 -2.3657 3.5346  -0.94
30 C -3.3411 -1.8246 2.4005  0.00
31 H -1.5023 0.3153 4.2854  0.41
32 H -3.0833 0.3783 6.1934  0.46
33 H -5.2328 1.5590 5.9681  0.44
34 H -5.8284 2.6576 3.8435  0.45
35 H -4.2395 2.6014 1.9406  0.29
36 H 0.9843 2.2503 2.5952  0.40
37 H 1.9582 4.4460 3.1877  0.50
38 H 0.6475 6.5039 2.8267  0.45
39 H -1.5786 6.3862 1.7740  0.48
40 H -2.5419 4.1881 1.1683  0.35
41 H -3.9783 1.7020 -1.9195  0.21
42 H -5.8459 1.7944 -3.5609  0.48
43 H -7.6344 0.0947 -3.4798  0.40
44 H -7.4934 -1.7697 -1.8749  0.47
45 H -5.6148 -1.8904 -0.2839  0.41
46 H -5.8358 0.2710 1.4800  0.68
47 H -6.8527 -0.6902 3.5208  0.45
48 H -5.6299 -2.4028 4.8130  0.43
49 H -3.3746 -3.1086 4.1009  0.57
50 H -2.3529 -2.1347 2.0836  0.18
51 C 11.0162 7.1060 -0.2492  -0.84
52 O 9.7013 7.6103 -0.1691  -0.46
53 C 8.6732 6.7387 -0.1213  0.87
54 C 8.8082 5.3511 -0.0915  -0.53
55 C 7.6909 4.5417 -0.0640  -0.86
56 C 6.4099 5.0901 -0.0689  0.26
57 C 6.2781 6.4852 -0.0831  -0.53
58 C 7.3863 7.2936 -0.1037  -0.61
59 C 5.2156 4.2816 -0.1107  0.14
60 N 4.0043 4.7719 -0.2678  -0.85
61 C 3.1691 3.7093 -0.3276  0.76
62 C 3.8978 2.5173 -0.1963  -0.06
63 N 5.1977 2.9104 -0.0553  -0.05
64 C 3.3039 1.2368 -0.2945  1.15
65 C 3.9498 -0.0046 -0.2679  -1.20
66 C 3.1894 -1.1435 -0.4598  -1.58
67 C 1.8198 -1.0455 -0.6519  -0.58
68 N 1.1823 0.1167 -0.6783  1.05
69 C 1.9051 1.2388 -0.5135  -0.32
70 C 1.1592 2.4355 -0.6614  0.14
71 N -0.1469 2.2487 -0.9607  1.18
72 C -0.8598 3.3403 -1.2125  -0.21
73 C -0.3466 4.6303 -1.1312  -1.44
74 C 0.9794 4.8340 -0.8055  -0.54
75 C 1.7695 3.7062 -0.5824  0.14
76 H 11.6662 7.9756 -0.3245  0.24
77 H 11.1480 6.4787 -1.1357  0.35
78 H 11.2845 6.5342 0.6440  0.34
79 H 9.7825 4.8909 -0.0862  0.41
80 H 7.8335 3.4703 -0.0537  0.23
81 H 5.2849 6.9051 -0.0888  0.49
82 H 7.2940 8.3680 -0.1108  0.44
83 H 5.9950 2.3105 0.0665  0.22
84 H 5.0151 -0.0742 -0.1162  0.51
85 H 3.6579 -2.1129 -0.4611  0.75
86 H 1.2042 -1.9328 -0.7664  -0.04
87 H -1.9044 3.1870 -1.4614  -0.05
88 H -1.0004 5.4675 -1.3083  0.57
89 H 1.4162 5.8172 -0.7275  0.59
90 C -0.4535 -2.8206 -4.6657  -1.73
91 C -0.4452 -2.2295 -3.2590  0.31
92 P -0.4923 -0.3808 -3.0738  1.13
93 C -1.9083 0.0715 -4.1609  -0.29
94 C -1.9251 1.5687 -4.4423  -1.25
95 C 0.9751 0.0439 -4.1295  -1.11
96 C 1.5918 1.4230 -3.9244  -0.89
97 H -0.3028 -3.8953 -4.5824  0.45
98 H 0.3429 -2.4209 -5.2874  0.35
99 H -1.4056 -2.6633 -5.1647  0.39
100 H 0.4640 -2.5556 -2.7416  0.15
101 H -1.2991 -2.6217 -2.7005  -0.23
102 H -2.8202 -0.2355 -3.6352  0.14
103 H -1.8320 -0.4923 -5.0946  0.69
104 H -1.7861 2.1255 -3.5155  0.13
105 H -2.8704 1.8636 -4.8911  0.40
106 H -1.1280 1.8361 -5.1322  0.40
107 H 0.6549 -0.0689 -5.1711  0.62
108 H 1.7358 -0.7159 -3.9166  0.45
____________

_Result_
37 H 1.9582 4.4460 3.1877  0.50
38 H 0.6475 6.5039 2.8267  0.45
39 H -1.5786 6.3862 1.7740  0.48
40 H -2.5419 4.1881 1.1683  0.35
41 H -3.9783 1.7020 -1.9195  0.21
42 H -5.8459 1.7944 -3.5609  0.48
43 H -7.6344 0.0947 -3.4798  0.40
44 H -7.4934 -1.7697 -1.8749  0.47
45 H -5.6148 -1.8904 -0.2839  0.41
46 H -5.8358 0.2710 1.4800  0.68
47 H -6.8527 -0.6902 3.5208  0.45
48 H -5.6299 -2.4028 4.8130  0.43
49 H -3.3746 -3.1086 4.1009  0.57
50 H -2.3529 -2.1347 2.0836  0.18
51 C 11.0162 7.1060 -0.2492  -0.84
52 O 9.7013 7.6103 -0.1691  -0.46
53 C 8.6732 6.7387 -0.1213  0.87
54 C 8.8082 5.3511 -0.0915  -0.53
55 C 7.6909 4.5417 -0.0640  -0.86
56 C 6.4099 5.0901 -0.0689  0.26
57 C 6.2781 6.4852 -0.0831  -0.53
58 C 7.3863 7.2936 -0.1037  -0.61
59 C 5.2156 4.2816 -0.1107  0.14
60 N 4.0043 4.7719 -0.2678  -0.85
61 C 3.1691 3.7093 -0.3276  0.76
62 C 3.8978 2.5173 -0.1963  -0.06
63 N 5.1977 2.9104 -0.0553  -0.05
64 C 3.3039 1.2368 -0.2945  1.15
65 C 3.9498 -0.0046 -0.2679  -1.20
66 C 3.1894 -1.1435 -0.4598  -1.58
67 C 1.8198 -1.0455 -0.6519  -0.58
68 N 1.1823 0.1167 -0.6783  1.05
69 C 1.9051 1.2388 -0.5135  -0.32
70 C 1.1592 2.4355 -0.6614  0.14
71 N -0.1469 2.2487 -0.9607  1.18
72 C -0.8598 3.3403 -1.2125  -0.21
73 C -0.3466 4.6303 -1.1312  -1.44
74 C 0.9794 4.8340 -0.8055  -0.54
75 C 1.7695 3.7062 -0.5824  0.14
76 H 11.6662 7.9756 -0.3245  0.24
77 H 11.1480 6.4787 -1.1357  0.35